Wednesday, January 31, 2007
My enemy = Food!
Reason is simple because I AM TRYING TO LOSE WEIGHT by eating less. So i hope that everyone and anyone can coorperate with me by STOP informing me where and where has good eating places. Because i want to lose weight before CNY.
And also, if you are my friend, DON'T say sweet nothings like 'Over your dead body' or 'Hahaha.. You will never be able to do it' and instead encouraging statements such as 'Yes. We have faith in you. You can do it.' will be gladly welcome.
And, stop shaking your head. Because, i can do it. Oneday.
Tuesday, January 30, 2007
At 4 in the morning..
Saw this old friend on the train just now. He was already in the train when we got on. Hence he made his way towards us. Guess it is true that glaring can burn a hole in your back. Because i cld feel several pairs of eyes looking at the 2 girls who had just got on and is talking to him. The eyes belongs to his friends. Girls to be exact. He's a ladies man, we all know. But today, i could feel his power, thru the glaring presence that i felt. I told my friend, 'One day we can get killed without even knowing why. Just because we talked to him.' Maybe to protect myself, i should pretend that we are strangers, just to save this small life of mine.
Sunday, January 28, 2007
To offer help when asked? Or, to know that you need help without having to ask and to help without offering and sometimes without you knowing.
I met a women who makes me respect her. Who reminds me that the world is not as cold as it is. That there are understanding people around. I think she makes a good friend to others and a perfect mum to her children. She is the mum of one of my tuition kids. I think she is damn POWERFUL!
Friday, January 26, 2007
Some fortune telling thing using chinese name
此命为人品性刚直, 做事公开, 有才能,有机变。不管休息, 六亲兄弟不得力,祖业无靠, 白手成家立业,末运多驳杂, 不能聚财, 好一双抓钱手,没有一个聚钱斗,此命蜘蛛, 结网朝圆夜不圆,做几翻败几翻,只能稳步成家计, 谁知又被狂风吹,初限二十三,似明月被云侵,三十开外恰似日头重升,二子送终寿元五十七岁,过此八十八, 卒于秋天之中。
她的风采和魅力会唤起生辰星位在白羊座的男性的爱的激情。只要他们彼此倾心相与,他们的结合会是幸福的。 双子座的男性会对她产生好感。他妙趣横生,海阔天空和富有超级幻想色彩的谈吐会把她带入一个梦寐以求的境界。 她对能充分理解她的宝瓶座的男性会产生真挚的感情和爱的壮举。
And the worst part is:
根据你的公元出生年月日,经过电脑计算,结果为6, 表示你上辈子是非人类
I wasn't human... I dun noe to cry or to laugh..
(Anyone wanna do a translation for me??)
Another wk..
Monday, January 22, 2007
These data records were left in the piece by mistake
- - -
1.
# Li2V3SnO8

A relaxed structure of Li2V3SnO8 (GGA+U, the Materials Project database).

Output
The value obtained for the energy of formation from the pure elements is -2.340 eV per atom. As for the symmetry: R3m (160).

Lattice parameters (Å, degrees): 6.047 6.047 6.047 59.97 59.97 59.97
Sites, in units of the cell vectors:
O 0.714 0.252 0.252
O 0.257 0.257 0.257
O 0.285 0.745 0.745
O 0.252 0.252 0.714
O 0.742 0.742 0.742
O 0.745 0.745 0.285
O 0.745 0.285 0.745
O 0.252 0.714 0.252
V 0.493 0.023 0.493
V 0.493 0.493 0.023
V 0.023 0.493 0.493
Li 0.499 0.499 0.499
Li 0.120 0.120 0.120
Sn 0.879 0.879 0.879

=====

2.
# CsTmW2O8

A relaxed structure of CsTmW2O8 (GGA+U, the Materials Project database).

Output
The value obtained for the energy of formation from the pure elements is -2.648 eV per atom. As for the symmetry: C2/c (15).

Lattice parameters (Å, degrees): 7.637 7.637 7.539 62.59 62.59 88.49
Sites, in units of the cell vectors:
O 0.372 0.593 0.461
O 0.952 0.778 0.203
O 0.942 0.632 0.620
O 0.380 0.250 0.435
O 0.750 0.620 0.065
O 0.632 0.942 0.120
O 0.778 0.952 0.703
O 0.593 0.372 0.961
O 0.620 0.750 0.565
O 0.048 0.222 0.797
O 0.628 0.407 0.539
O 0.368 0.058 0.880
O 0.407 0.628 0.039
O 0.250 0.380 0.935
O 0.222 0.048 0.297
O 0.058 0.368 0.380
W 0.301 0.313 0.216
W 0.699 0.687 0.784
W 0.313 0.301 0.716
W 0.687 0.699 0.284
Cs 0.198 0.802 0.750
Cs 0.802 0.198 0.250
Tm 0.223 0.777 0.250
Tm 0.777 0.223 0.750

=====

| no. | calculated volume (Å³/f.u.) | size of the total moment (Bohr magnetons per cell) |
| --- | --- | --- |
| 1 | 156 | 5.000 |
| 2 | 168 | 0.000 |

* * * * *

# 1
Li4Mn3Co3O12 | PBE+U | optimized geometry

The structure in CIF format:
```
data_Li4Mn3Co3O12
_chemical_formula_sum 'Li4 Mn3 Co3 O12'
_space_group_name_H-M_alt 'P 1'
_space_group_IT_number 1
_cell_length_a 6.8993
_cell_length_b 5.8752
_cell_length_c 5.7089
_cell_angle_alpha 89.14
_cell_angle_beta 102.18
_cell_angle_gamma 76.72
loop_
_space_group_symop_operation_xyz
'x,y,z'
loop_
_atom_site_label
_atom_site_fract_x
_atom_site_fract_y
_atom_site_fract_z
_atom_site_occupancy
O1 0.6288 0.0947 0.4186 1
Li1 0.6668 0.3333 0.1667 1
O2 0.3299 0.9463 0.5885 1
O3 0.9711 0.7252 0.2420 1
Co1 0.6667 0.8333 0.1666 1
Mn1 0.3325 0.1679 0.3374 1
O4 0.3622 0.9415 0.0913 1
Co2 0.3281 0.1665 0.8332 1
O5 0.3295 0.3849 0.5875 1
O6 0.6545 0.0537 0.9173 1
Li2 0.0269 0.9757 0.4796 1
Co3 0.0053 0.5002 0.5001 1
Li3 0.6666 0.3333 0.6667 1
O7 0.3053 0.3994 0.0733 1
O8 0.0281 0.2673 0.2600 1
O9 0.6788 0.6129 0.4160 1
O10 0.0034 0.7204 0.7448 1
O11 0.7046 0.5719 0.9148 1
Li4 0.3064 0.6911 0.8539 1
Mn2 0.0008 0.4987 0.9960 1
Mn3 0.6666 0.8333 0.6666 1
O12 0.0039 0.2818 0.7458 1
```

Output
ΔE_f: -39.305 eV per formula unit


# 2
Li6Mn3CoO10 | PBE+U | optimized geometry

The structure in CIF format:
```
data_Li6Mn3CoO10
_chemical_formula_sum 'Li6 Mn3 Co1 O10'
_space_group_name_H-M_alt 'P 1'
_space_group_IT_number 1
_cell_length_a 5.0285
_cell_length_b 5.8270
_cell_length_c 6.6384
- - -
Almost a mth soon..
But i'm adapting to my friends' working lives. I often have to spend my weekdays alone sometimes with tuitions in the evening.
But come friday nite, its time to party. Its like all the ghosts are being let out after being lock for ages. Everyone is only free on weekends, no. Some from friday nites.
I can't imagine hw i wld become once i start working. Will i be like them. Guess not. Because once i'm out, i will most properly be looking for good food.
Yah, i think i'll be like that.
'theroom' is nearly complete. Lacking a few shelfs here and there and still poundering if i shld get a table to sudy but i reckon tt it will end up with all my bags and purchases and no books at all.
My digi camera is coming back tmr. Hope it will still looks the same and functions the same as well. Otherwise somebody's car is gonna get it frm me. An eye for an eye. A car for a camera. What a good deal.
Wednesday, January 17, 2007
When desires break free.
I tried to contain the fire burning within me but to no sucess. In the end i admit defeat. I went around frm one window to another asking ppl where i can get those BBQ chicken wings that i so crave for but received limited replies. Reason was, nobody knows.
Doesn't anyone here eat BBQ chicken wings? Wdls is not a small tiny suburb with only one shop selling milk and a post office. NO! No! No! Wdls has so many eating places yet non of the woodlanders cld offer me a place that sell BBQ chicken wings.. Gosh.. I think we need more food stores here. Esp those selling BBQ chicken wings.
In the end, there were two suggestions. One was at 888 and the other at 302. Of course i went to the one nearest me with my chicken eater. But as i reach the place, i saw smoke rising from the BBQ pit. They are washing the pit already. Argg.. I stared at the fried chicken wings and pounder hard. Shld i settle on something less fullfilling? In the end, chicken eater drag me away from the store, tempting me to wait till saturday. I went home feeling depress and almost burst into tears because at that time KFC had closed and i can't have my chessy fries.
I ransack the fridge and only a tub of kimchi and a half pack of Cadbury's mini eggs were able to catch my interest. I'd no other choices but to settle on them. Not long after, my dad called. They are on their way home and i complaint on my misery. They drove to 768 and bought back wu xiang. Now, thats a better substitube than the other two. So i went to bed feeling contended but not satisfied. All i need now is BBQ chicken wings.
Monday, January 15, 2007
The thing bout me..
Many times, i wld end up at somewhere which i'd been before and wondering which dish i'd enjoyed the last time i came and which not. While in Aust, there is ET to remind me. Sometimes, no, most times she wld remind me which food i'd tried and like and what not.
I guess its time that i start remembering things like these myself. Because you do not noe when will you lose your personal eating guide book.
And most importantly, i like GOODFOOD.
Saturday, January 13, 2007
But not as hot as RAIN.
Rain is super burning HOT!
Thursday, January 11, 2007
My first..
It was raining.
I need to do something to brighten my day.
I went online and bought my first item.
Ok, i do not consider purchasing air ticks or booking hotels and car rental a kind of online shopping. Dun ask me why. I do not consider making payment for grad gown rental a kinda online shopping. So, basically, this is my first time doing shopping online.
So, what did i buy?
A music book. Haha.. It cost only $10 inclusive of shipping since its a sing coy. So, i figured, why not. Wonder when will it reach me. Hope i wont be addicted to online shopping. But i think i will still prefer shopping in shops and trying out stuff anytime.
What else shld i buy??? Can i order food online?? hahaha.. Shit.. Talk bout losing weight..
Our New Year Eve RSS Gathering 2006.
The workers that night.
Dinner with Cherly before she left for HK..
While waiting for table outside a korean restaurant at Chinatown. All i can say is, the feeling is not there.
The couple of the century. Another older-woman-younger-man couple.
While waiting for bus to bring us to the Jewel Box at Mount Faber. 4 dead animals.
The mini eyes pair.
Normal humans.
Note his eyes before our drinks arrive.
Note his eyes when the drinks are here. And he says that he dun drink. Wat bullshit..
Girl, if u happens to see this, dun forget our promise hor. Either 3kg or 1 mth no shopping. hahaha.. cant wait for u to be back soon. Have fun n eat more hor!!
Monday, January 08, 2007
Just another boring day hence the boring entry..
In my bro's room at the moment and there's ants in his room. I can assured you that he will definetely shift the blame on me, for eating in his room which i didnt and he will ignored and carry on thinking that he's right. Irritating.
== Attached: data records ==
Entry 1:
Here is a relaxed structure of Na10Sc2Nb6Si11SO48 from the Materials Project. Energies are from PBE-GGA.

a = 9.0676 Å, b = 15.6613 Å, c = 22.8555 Å
α = 90.11°, β = 90.03°, γ = 90.12°
Closest atoms and distances in Å follow each position.
Atoms (fractional coordinates):
Na 0.0000 0.0000 0.0000  4 O 2.39-2.62
Na 0.0016 0.0336 0.6655  4 O 2.43-2.55
Na 0.0044 0.6981 0.3323  4 O 2.42-2.56
Na 0.0107 0.3696 0.0013  5 O 2.41-2.65
Na 0.1454 0.1698 0.1673  3 O 2.33-2.53
Na 0.1905 0.1871 0.5005  4 O 2.36-2.53
Na 0.3131 0.6875 0.7496  6 O 2.56-2.70
Na 0.3174 0.6839 0.2496  6 O 2.57-2.66
Na 0.3186 0.3562 0.9192  6 O 2.46-2.72
Na 0.3207 0.3580 0.4196  6 O 2.46-2.72
Na 0.3250 0.0136 0.5809  6 O 2.53-2.74
Na 0.3305 0.0165 0.0882  5 O 2.42-2.70
Na 0.4521 0.1886 0.0020  4 O 2.34-2.61
Na 0.4973 0.8368 0.3321  5 O 2.46-2.75
Na 0.5009 0.1704 0.6648  4 O 2.38-2.60
Na 0.5036 0.1986 0.3320  4 O 2.43-2.54
Na 0.5105 0.8668 0.0016  5 O 2.40-2.64
Na 0.5132 0.5341 0.6661  4 O 2.38-2.53
Na 0.6320 0.3694 0.5004  4 O 2.41-2.54
Na 0.6391 0.6998 0.8315  4 O 2.41-2.54
Na 0.6433 0.3379 0.8314  4 O 2.43-2.58
Na 0.6448 0.6689 0.1672  3 O 2.33-2.52
Na 0.8174 0.1842 0.2495  6 O 2.58-2.66
Na 0.8234 0.8532 0.9161  6 O 2.57-2.62
Na 0.8237 0.5213 0.5848  6 O 2.50-2.68
Na 0.8239 0.8548 0.4191  6 O 2.52-2.69
Na 0.8249 0.5161 0.0863  6 O 2.47-2.71
Na 0.8263 0.1866 0.7496  6 O 2.55-2.65
Na 0.9514 0.6868 0.0011  5 O 2.43-2.68
Na 0.9977 0.3379 0.3319  4 O 2.46-2.62
Sc 0.3183 0.3520 0.0634  6 O 2.00-2.15
Sc 0.3243 0.3520 0.5619  6 O 2.01-2.16
Sc 0.3322 0.0164 0.2317  5 O 1.99-2.11
Sc 0.8130 0.8472 0.0643  5 O 1.97-2.18
Sc 0.8204 0.5197 0.7318  5 O 2.00-2.14
Sc 0.8322 0.5160 0.2317  5 O 1.99-2.11
Nb 0.3144 0.6903 0.1020  5 O 1.91-2.04
Nb 0.3146 0.6829 0.8954  6 O 1.92-2.09
Nb 0.3182 0.3455 0.7723  5 O 1.93-2.05
Nb 0.3205 0.0184 0.9342  6 O 1.95-2.08
Nb 0.3199 0.3466 0.2709  5 O 1.95-2.05
Nb 0.3210 0.0143 0.7291  6 O 1.92-2.07
Nb 0.3214 0.6825 0.3979  6 O 1.90-2.09
Nb 0.3220 0.0140 0.4365  6 O 1.93-2.08
Nb 0.3243 0.6917 0.6001  5 O 1.88-2.03
Nb 0.8119 0.1924 0.1025  5 O 1.89-2.06
Nb 0.8186 0.5188 0.9350  6 O 1.96-2.09
Nb 0.8192 0.8458 0.2709  5 O 1.94-2.05
Nb 0.8193 0.8495 0.5616  6 O 1.93-2.05
Nb 0.8208 0.1888 0.6024  6 O 1.93-2.12
Nb 0.8223 0.5213 0.4371  6 O 1.98-2.07
Nb 0.8236 0.1823 0.3970  6 O 1.93-2.08
Nb 0.8249 0.8514 0.7695  6 O 1.94-2.08
Nb 0.8264 0.1833 0.8947  6 O 1.94-2.09
Si 0.0278 0.3549 0.1644  4 O 1.60-1.71
Si 0.0305 0.0176 0.8319  4 O 1.62-1.66
Si 0.0322 0.6852 0.5000  4 O 1.63-1.65
Si 0.1091 0.8482 0.6653  4 O 1.63-1.66
Si 0.1095 0.1846 0.0005  4 O 1.61-1.66
Si 0.1135 0.5185 0.3329  4 O 1.60-1.66
Si 0.1730 0.1586 0.3319  4 O 1.59-1.71
Si 0.1737 0.2073 0.6647  4 O 1.60-1.66
Si 0.1743 0.8312 0.9982  4 O 1.60-1.67
Si 0.1741 0.8742 0.3317  4 O 1.59-1.66
Si 0.1791 0.5387 0.9996  4 O 1.60-1.66
Si 0.4653 0.2046 0.1643  4 O 1.61-1.70
Si 0.4659 0.5399 0.5004  4 O 1.61-1.65
Si 0.4669 0.1610 0.8321  4 O 1.63-1.66
Si 0.4674 0.8725 0.8328  4 O 1.62-1.66
== End of the data records ==
Learn a new word yesterday while teaching my sec 4 e-maths kid. He ask me what is mensuration and at first i thought it was just a printing error but can't be so for every page for that chapter. I told him to look it up in as we can't find the word in the dictionary. So, today i found it in The word means the act or process of measuring.
So, why can't they just use measuration? Den i type in the word and realised that there is no such word call measuration. Now, i learn something new. So, it's measure, measuring and mensuration. Pronouced as men-su-ration. Not that bad. But i need to revise on my e-maths, forgotten how to plot the cumulative frequency curve. As in when to use what values for the x-axis. Because sometimes the examples use the upper limit boundaries whereas sometimes they use other values. Need to find out more later. Gonna go to Popular bookstore.
Found it. Cumulative frequencies curve. Now i funally understand why. Always always use the upper class boundary.
Saturday, January 06, 2007
Kill Kill Kill
Have you ever have someone who is so lazy to the point that you just felt like slapping him till he's disfigured.
You know, i do know of this someone who can make me a murderer and yet i will never regret this path i'd choosen. Because this someone is so irritatingly annoying and who deserves a kick in the butt everytime i sees him.
He cares for noone and think of himself as everything. He wants the best yet is unwilling to work for his worth. He makes decisions on his own without consulting anyone even though they r decisions that will affect everyone. Such a selfish good for nothing who doesn't know whats best.
Dun be surprise if u see my pict on the front page tmr. I'm born to kill.
Thursday, January 04, 2007
Some picts..
Christmas Day 2006, my arrival at Changi Airport.
Then along w 2 khakis, we went to 'kuai fang' at Fragrance Hotel near PS. The room is small yet clean and the bed wasn't too bad. We three reach the hotel at 3am after supper-ing at Esplanade (my stingray..) after watching a supper waste time, money n sleep show. Dun ask me bout it, i will explode. We were all exhausted and fall asleep immediately after bathing till 9 plus.
The hotel shld consider employing her to advertise..
Jul pointing at my spot..
Mirror Image of the scandalous trio..
Today, 4th of Jan, together w 3 10 yrs old friends, we went to Sakae Bishan for a delightful dinner. It had been such a long time since we behave like this and a long long time since i laugh till my stomach ache and tears form in my eyes. But this is to be expected when u go out with ppl who make time stands still and ten years ago seems to be just yesterday.
You know, i know, we all know that only one person looks happy here. Notice the 'weird' look the person w golden hair is giving.. The poor fellow..
With the cake but unfortunately half of the head of one of us were blocked. But well, life goes on.. n furthermore, who cares...
My ma aka moo. Her's birthday celebration though her birthday wasn't today. But just wanna celebrate it today. After cutting the cake, we realised that she dun really like chocolate cake. But the buyers aka golden hair n me loves chocolate cake. So thats why..
Make a wish, make a wish. May all her wishes come true.. (world peace?!?)
Early early morning..
So early in the morning where some ppl are still sleeping whereas a lot of ppl are already working but my mind is still not fully awake. A lot of thoughts recently but can't get them out. Thinking bout the same things over n over again. But things that are pointless in thinking about. So it's just a waste of time brooding over them. Needa move on..
I want my life back!
Monday, January 01, 2007
Happy 2007.
A year of blessings and weddings.
A year where there is no droughts nor floods, haze and forest fires.
A year where all bad news stop and good news are unstoppable.
Finally manage to go online. All thanks to Mr Peng who spend 20 mins teaching me hw to switch on the moderm and the black box. Otherwise, i wld still be sulking in my room and thinking hw i rather be somewhere else.
So, gratitude from the bottom of my heart.
New Year Resolutions
I'd heard quite a few NYR so far. Some had me burst out laughing while some left me in shock. But here and there they are roughly the same. So, here are mine, once agian, similar to some difference to others.
1) LOSE WEIGHT (I'd heard enough comments from anyone and everyone bout hw great a life i had in Aust. Or hw cheap meat n milk is down under. Enough is enough!)
2) Get a job n earn some money. I need to find my direction in life!!
3) Try not to feel so stress when mi frends n i are talking bout BGR. What will come will come.
Time flies, till this date, i still have people asking me when i will fly off. How i wish i have a date to give them. Instead i have to say, 'I'd grad. Wont be flying off for the next few mths, at least.' Felt a bit bu se de but thats it. Got to carry on w life and welcome whatever comes my way.
Sigh.. Feels kinda lonely now. Need to spend more time in my room to get rid of the unwanted-dust-collectors. Look for furnitures and repaint my room. Hope i can get everything done by the end of the week. Ok, that shall be my short term goal for now.
Going off nw. A bit tired. Played majong yest nite so slept for 5hrs only. Nt enough. Shall sleep nw.